Damn leadtek....

**Inserted here: calculated crystals**
Below is an optimized crystal structure of CaLaScAl, with properties calculated at the PBE level.

Lattice parameters (Å, degrees): 7.5946 7.5946 7.5946 90.00 90.00 90.00
Space group F-43m (No. 216)
Symmetry-distinct sites (fractional):
Ca: 0.0000 0.0000 0.0000
La: 0.2500 0.2500 0.7500
Sc: 0.2500 0.2500 0.2500
Al: 0.0000 0.0000 0.5000

Electronic total energy in eV/cell: -68.7
Energy of formation in eV/f.u.: -0.17
Mass density in Mg/m³: 3.8


Below is an optimized crystal structure of BeHg3Ir, with properties calculated at the PBE level.

Lattice parameters (Å, degrees): 5.2734 5.2734 5.2734 90.00 90.00 90.00
Space group Pm-3m (No. 221)
Symmetry-distinct sites (fractional):
Be: 0.0000 0.0000 0.0000
Hg: 0.0000 0.5000 0.5000
Ir: 0.5000 0.5000 0.5000

Electronic total energy in eV/cell: -8.9
Energy of formation in eV/f.u.: 4.63
Mass density in Mg/m³: 9.1


Below is an optimized crystal structure of CaUN2, with properties calculated at the PBE level.

Lattice parameters (Å, degrees): 3.4978 3.4978 11.5079 90.00 90.00 120.00
Space group P6_3/mmc (No. 194)
Symmetry-distinct sites (fractional):
Ca: 0.3333 0.6667 0.2500
U: 0.0000 0.0000 0.0000
N: 0.3333 0.6667 0.6041

Energy relative to the elements, uncorrected in eV/atom: -1.26
Electronic total energy in eV/cell: -69.9
Mass density in Mg/m³: 8.3


Staff member
I think my GTS died... i cant get the picture to come up or even get it to show its getting signal from the card. This will really tick me off.:mad: :mad: :mad:


Staff member
i generally just leave the monitor running along with the comp. Ran it friday night fine. was gone sat, came in sunday night the monitor was lit up like it was getting signal but black screen. tried to reboot system same thing. Turned off the monitor and back on , no luck. stuck in matrox g450 dual head card. viola! it got signal.
I am gonna test it in anther machine to make sure , but im really pissed that this happened within 6 months. what a piece of crap.:mad: :mad: :mad: :mad: :mad:


Bumbling Idiot
Staff member
Sorry to hear that, Neo. I've been running a leadtek GeForce 2 for a year now, no sweat. Are you running through a UPS? I'm wondering if maybe we had a slight power surge.


Staff member
Yep, running a UPS also. very strange.... Im hoping they honor theyre 3 year warranty...otherwise ill let them know i will post on the front page of my sites and in the forums that they dont...:mad:


Staff member
It sounds like the card went belly up:cry:
Hope you can get one under warranty.... or maybe put it towards a gf3:D


Staff member
Well, this is getting stranger by the day... I reinstalled the card today(after i ordered in a ATI Radeon 7000) and guess what. Now it is working, we'll see how long. i hate when hardware acts flakey.


New Member
Originally posted by Neo
Well, this is getting stranger by the day... I reinstalled the card today(after i ordered in a ATI Radeon 7000) and guess what. Now it is working, we'll see how long. i hate when hardware acts flakey.

my t-bird system is acting up too...
if it freezes under windows, and if i press the reset button. The thing will not post. However, if i hold the power button to shut it up and turn it back on again, it will post.

still trying to figure out why


Staff member
AHHHHHH.....i just watched my 19 inch monitor drop to a 3 inch monitor. This is bad, very bad. the picture shrank and wont come back to where its supposed to be.:mad:


Originally posted by saltedeggman

my t-bird system is acting up too...
if it freezes under windows, and if i press the reset button. The thing will not post. However, if i hold the power button to shut it up and turn it back on again, it will post.

still trying to figure out why

are you running a Abit Kt7A with a hercules 3dprophet II pro?

-- begin --
[1]
The following is a DFT calculation (PBE) of a geometry-optimized Ba6InGe2 structure.

Output
- space-group type = Immm (71)
- size of the total moment (μB/cell) = 2.79
- calculated total energy (eV/atom) = -2.99

Cell: 10.092 10.092 10.092 Å, 107.12 108.60 112.74°
Element x y z (fractional)
Ba 0.812 0.243 0.054
Ba 0.892 0.719 0.173
Ba 0.546 0.719 0.827
Ba 0.188 0.757 0.946
Ba 0.188 0.243 0.431
Ba 0.675 0.013 0.337
Ba 0.325 0.987 0.663
Ba 0.108 0.281 0.827
Ba 0.325 0.662 0.337
Ba 0.454 0.281 0.173
Ba 0.812 0.757 0.569
Ba 0.675 0.338 0.663
In 0.000 0.500 0.500
In 0.000 0.000 0.000
Ge 0.321 0.000 0.321
Ge 0.500 0.609 0.109
Ge 0.679 0.000 0.679
Ge 0.500 0.391 0.891

[2]
The following is a DFT calculation (PBE) of a geometry-optimized BaInGe3 structure.
-- stop --

if so this is a known problem and the card can be returned for a new one.

Misplaced records of crystals:
The following is a GGA-PBE calculation of a relaxed structure of BeRe2Ir, from OQMD via LeMat-Bulk.

M_tot: 0.0 μB per formula unit
VASP energy: -9.29 eV per atom

abc: 4.2570 4.2570 4.2570
angles: 60.00 60.00 60.00
Atoms (fractional coordinates):
Be: 0.0000 0.0000 0.0000
Re: 0.5000 0.5000 0.5000
Re: 0.7500 0.7500 0.7500
Ir: 0.2500 0.2500 0.2500


might be monitor might be card?? only way is to flip flop from a good sys ect.....

Take card and pop in good sys see if it works,attatch monitor to a good sys and see if it works ect......

saltedeggman ,that isnt UN-Common...the hardware most likey video card freezes up and a quick reset doesnt unfreeze it ,only a complete power down and power up (Cold boot)unfreezes the card and removes power from it and resets everything.No mystery there.

You should CLEAN install from scratch.Formatt C: and install windows 98 and d/l all the LATEST drivers for your system.

And install the drivers in the correct sequence and install win98 with only video card ,then after Motherboard/chipset drivers and agp and video drivers add each card(sound /nic/modem ect..) one by and install latest drivers for all.

Install windows then chipset drivers (4 in 1's) then Vid card drivers ,then one by one all other catds.And dont d/l Free crappy software from the net thats free because they dont spend the r&d time on testing thus making it free.